public SpriteObj DisplayEffect(Vector2 position, string spriteName) { var proj = m_resourcePool.CheckOut(); proj.ChangeSprite(spriteName); proj.TextureColor = Color.White; proj.Visible = true; proj.Position = position; proj.PlayAnimation(false); return(proj); }
public void AddIcon(ProjectileObj projectile) { var projectileIconObj = m_resourcePool.CheckOut(); projectileIconObj.Visible = true; projectileIconObj.ForceDraw = true; projectileIconObj.AttachedProjectile = projectile; projectile.AttachedIcon = projectileIconObj; }
public void FireProjectile(byte type) { var energonProjectileObj = m_projectilePool.CheckOut(); energonProjectileObj.SetType(type); PhysicsMngr.AddObject(energonProjectileObj); energonProjectileObj.Target = m_target; energonProjectileObj.Visible = true; energonProjectileObj.Position = Position; energonProjectileObj.CurrentSpeed = ProjectileSpeed; energonProjectileObj.Flip = Flip; energonProjectileObj.Scale = ProjectileScale; energonProjectileObj.Opacity = 0.8f; energonProjectileObj.Damage = Damage; energonProjectileObj.PlayAnimation(); }
public void DisplayNumberStringText(int amount, string text, Color color, Vector2 position) { var textObj = m_resourcePool.CheckOut(); textObj.Font = Game.JunicodeFont; textObj.FontSize = 14f; textObj.Text = amount + " " + text; var width = textObj.Width; m_resourcePool.CheckIn(textObj); var textObj2 = m_resourcePool.CheckOut(); textObj2.Font = Game.HerzogFont; textObj2.Text = amount.ToString(); textObj2.Align = Types.TextAlign.Left; textObj2.FontSize = 18f; textObj2.TextureColor = color; textObj2.Position = new Vector2(position.X - width / 2f, position.Y - textObj2.Height / 2f); textObj2.Visible = true; var textObj3 = m_resourcePool.CheckOut(); textObj3.Font = Game.JunicodeFont; textObj3.Text = " " + text; textObj3.FontSize = 14f; textObj3.Align = Types.TextAlign.Left; textObj3.TextureColor = color; textObj3.Position = textObj2.Position; textObj3.X += textObj2.Width; textObj3.Y -= 5f; textObj3.Visible = true; Tween.By(textObj2, 0.3f, Quad.EaseOut, "Y", "-60"); Tween.To(textObj2, 0.2f, Linear.EaseNone, "delay", "0.5", "Opacity", "0"); Tween.AddEndHandlerToLastTween(this, "DestroyText", textObj2); Tween.By(textObj3, 0.3f, Quad.EaseOut, "Y", "-60"); Tween.To(textObj3, 0.2f, Linear.EaseNone, "delay", "0.5", "Opacity", "0"); Tween.AddEndHandlerToLastTween(this, "DestroyText", textObj3); }
public ProjectileObj FireProjectile(ProjectileData data) { if (data.Source == null) { throw new Exception("Cannot have a projectile with no source"); } var projectileObj = m_projectilePool.CheckOut(); projectileObj.Reset(); projectileObj.LifeSpan = data.Lifespan; var source = data.Source; projectileObj.ChaseTarget = data.ChaseTarget; projectileObj.Source = source; projectileObj.Target = data.Target; projectileObj.UpdateHeading(); projectileObj.TurnSpeed = data.TurnSpeed; projectileObj.CollidesWithTerrain = data.CollidesWithTerrain; projectileObj.DestroysWithTerrain = data.DestroysWithTerrain; projectileObj.DestroysWithEnemy = data.DestroysWithEnemy; projectileObj.FollowArc = data.FollowArc; projectileObj.Orientation = MathHelper.ToRadians(data.StartingRotation); projectileObj.ShowIcon = data.ShowIcon; projectileObj.IsCollidable = data.IsCollidable; projectileObj.CollidesWith1Ways = data.CollidesWith1Ways; projectileObj.DestroyOnRoomTransition = data.DestroyOnRoomTransition; projectileObj.CanBeFusRohDahed = data.CanBeFusRohDahed; projectileObj.IgnoreInvincibleCounter = data.IgnoreInvincibleCounter; projectileObj.WrapProjectile = data.WrapProjectile; var num = 0f; if (data.Target != null) { var num2 = data.Target.X - source.X; var num3 = data.Target.Y - source.Y - data.SourceAnchor.Y; if (source.Flip == SpriteEffects.FlipHorizontally) { num = 180f - num; num2 += data.SourceAnchor.X; num = MathHelper.ToDegrees((float)Math.Atan2(num3, num2)); num -= data.AngleOffset; } else { num = MathHelper.ToDegrees((float)Math.Atan2(num3, num2)); num2 -= data.SourceAnchor.X; num += data.AngleOffset; } } else { num = data.Angle.X + data.AngleOffset; if (data.Angle.X != data.Angle.Y) { num = CDGMath.RandomFloat(data.Angle.X, data.Angle.Y) + data.AngleOffset; } if (source.Flip != SpriteEffects.None && source.Rotation != 0f) { num -= 180f; } else if (source.Flip != SpriteEffects.None && source.Rotation == 0f) { num = 180f - num; } } if (!data.LockPosition) { projectileObj.Rotation = num; } num = MathHelper.ToRadians(num); projectileObj.Damage = data.Damage; m_levelScreen.PhysicsManager.AddObject(projectileObj); projectileObj.ChangeSprite(data.SpriteName); projectileObj.RotationSpeed = data.RotationSpeed; projectileObj.Visible = true; if (source.Flip != SpriteEffects.None) { projectileObj.X = source.AbsX - data.SourceAnchor.X; } else { projectileObj.X = source.AbsX + data.SourceAnchor.X; } projectileObj.Y = source.AbsY + data.SourceAnchor.Y; projectileObj.IsWeighted = data.IsWeighted; var vector = new Vector2((float)Math.Cos(num), (float)Math.Sin(num)); var num4 = data.Speed.X; if (data.Speed.X != data.Speed.Y) { num4 = CDGMath.RandomFloat(data.Speed.X, data.Speed.Y); } projectileObj.AccelerationX = vector.X * num4; projectileObj.AccelerationY = vector.Y * num4; projectileObj.CurrentSpeed = num4; if (source is PlayerObj) { if (projectileObj.LifeSpan == 0f) { projectileObj.LifeSpan = (source as PlayerObj).ProjectileLifeSpan; } projectileObj.CollisionTypeTag = 2; projectileObj.Scale = data.Scale; } else { if (projectileObj.LifeSpan == 0f) { projectileObj.LifeSpan = 15f; } projectileObj.CollisionTypeTag = 3; projectileObj.Scale = data.Scale; } if (data.Target != null && data.Source.Flip == SpriteEffects.FlipHorizontally && data.ChaseTarget) { projectileObj.Orientation = MathHelper.ToRadians(180f); } if (data.Source is PlayerObj && (Game.PlayerStats.Traits.X == 22f || Game.PlayerStats.Traits.Y == 22f)) { projectileObj.AccelerationX *= -1f; if (!data.LockPosition) { if (data.Source.Flip == SpriteEffects.FlipHorizontally) { projectileObj.Flip = SpriteEffects.None; } else { projectileObj.Flip = SpriteEffects.FlipHorizontally; } } } projectileObj.PlayAnimation(); return(projectileObj); }
Unrelated to this entry: data records
/*
Entry 1:
Structure and theoretical powder XRD pattern of Mg16Al12Sb (a crystal structure in Alexandria, relaxed with GGA-PBE; Cu Ka).

Top 10 peaks for 10° ≤ 2θ ≤ 90°, in order of falling intensity:
2θ (°), Rel. int.
35.65, 100.0
36.44, 91.8
36.11, 83.3
40.41, 45.1
11.98, 42.9
11.71, 28.3
33.94, 21.4
65.12, 19.3
42.93, 18.5
20.67, 17.4

Structure:
```
data_Mg16Al12Sb
_chemical_formula_sum 'Mg16 Al12 Sb1'
_space_group_name_H-M_alt 'P 1'
_space_group_IT_number 1
_space_group_name_Hall 'P 1'
_cell_length_a 9.084
_cell_length_b 9.084
_cell_length_c 9.084
_cell_angle_alpha 108.85
_cell_angle_beta 108.85
_cell_angle_gamma 108.85
loop_
_atom_site_label
_atom_site_fract_x
_atom_site_fract_y
_atom_site_fract_z
Mg1 0.000 0.000 0.000
Mg2 0.001 0.001 0.350
Mg3 0.001 0.350 0.001
Mg4 0.003 0.323 0.599
Mg5 0.003 0.599 0.323
Mg6 0.293 0.686 0.686
Mg7 0.323 0.003 0.599
Mg8 0.323 0.599 0.003
Mg9 0.350 0.001 0.001
Mg10 0.396 0.396 0.706
Mg11 0.396 0.706 0.396
Mg12 0.599 0.003 0.323
Mg13 0.599 0.323 0.003
Mg14 0.686 0.293 0.686
Mg15 0.686 0.686 0.293
Mg16 0.706 0.396 0.396
Al1 0.011 0.636 0.822
Al2 0.011 0.822 0.636
Al3 0.172 0.361 0.361
Al4 0.184 0.184 0.816
Al5 0.184 0.816 0.184
Al6 0.361 0.172 0.361
Al7 0.361 0.361 0.172
Al8 0.636 0.011 0.822
Al9 0.636 0.822 0.011
Al10 0.816 0.184 0.184
Al11 0.822 0.011 0.636
Al12 0.822 0.636 0.011
Sb1 0.663 0.663 0.663
```

---

Entry 2:
Structure and theoretical powder XRD pattern of MgAlSb4 (a crystal structure in Alexandria, relaxed with GGA-PBE; Cu Ka).

Top 10 peaks for 10° ≤ 2θ ≤ 90°, in order of falling intensity:
2θ (°), Rel. int.
33.61, 100.0
17.37, 90.5
35.15, 88.5
59.09, 35.3
40.81, 34.7
53.86, 33.9
70.65, 33.6
44.66, 24.1
84.06, 21.1
62.09, 17.8

Structure:
```
data_MgAlSb4
_chemical_formula_sum 'Mg1 Al1 Sb4'
_space_group_name_H-M_alt 'P 1'
_space_group_IT_number 1
_space_group_name_Hall 'P 1'
_cell_length_a 6.254
_cell_length_b 6.254
_cell_length_c 6.254
_cell_angle_alpha 60.00
_cell_angle_beta 60.00
_cell_angle_gamma 60.00
loop_
_atom_site_label
_atom_site_fract_x
_atom_site_fract_y
_atom_site_fract_z
Mg1 0.000 0.000 0.000
Al1 0.250 0.250 0.250
Sb1 0.126 0.625 0.625
Sb2 0.625 0.126 0.625
Sb3 0.625 0.625 0.126
Sb4 0.625 0.625 0.625
```

---

Entry 3:
Structure and theoretical powder XRD pattern of Mg2Sc2Al (a crystal structure in Alexandria, relaxed with GGA-PBE; Cu Ka).

Top 10 peaks for 10° ≤ 2θ ≤ 90°, in order of falling intensity:
2θ (°), Rel. int.
35.47, 100.0
38.60, 20.0
37.76, 19.2
67.82, 13.1
55.10, 11.8
71.79, 11.3
46.71, 11.2
62.15, 8.9
19.93, 7.3
66.74, 6.1

Structure:
```
data_Mg2Sc2Al
_chemical_formula_sum 'Mg2 Sc2 Al1'
_space_group_name_H-M_alt 'P 1'
_space_group_IT_number 1
_space_group_name_Hall 'P 1'
_cell_length_a 7.878
_cell_length_b 7.878
_cell_length_c 3.078
_cell_angle_alpha 90.00
_cell_angle_beta 90.00
_cell_angle_gamma 145.56
loop_
_atom_site_label
_atom_site_fract_x
_atom_site_fract_y
_atom_site_fract_z
Mg1 0.199 0.801 0.000
Mg2 0.801 0.199 0.000
Sc1 0.401 0.599 0.500
Sc2 0.599 0.401 0.500
*/
So much for the data records
public RogueAPI.Projectiles.ProjectileObj CheckOut() { return(m_projectilePool.CheckOut()); }